Wanted:
The reader should find the line below that holds "0.727 0.727", then repeat that line and all lines after it there.
Material:
/*
# 1
Material: Cr2CuN4O8
Method: DFT, PBE with a Hubbard U
State: optimized geometry

Cell: 6.027 7.171 7.919 Å, 110.25 91.91 107.58°
Fractional positions:
1 Cr 0.189 0.286 0.212
2 Cr 0.811 0.714 0.788
3 Cu 0.500 0.000 0.000
4 N 0.145 0.351 0.736
5 N 0.468 0.006 0.762
6 N 0.532 0.994 0.238
7 N 0.855 0.649 0.264
8 O 0.056 0.760 0.924
9 O 0.119 0.147 0.340
10 O 0.283 0.536 0.343
11 O 0.408 0.229 0.086
12 O 0.592 0.771 0.914
13 O 0.717 0.464 0.657
14 O 0.881 0.853 0.660
15 O 0.944 0.240 0.076

Properties
SG: No. 2
Energy relative to the elements: 0.5254 eV/atom

***

# 2
Material: MnCdO2
Method: DFT, PBE with a Hubbard U
State: optimized geometry

Cell: 4.661 4.661 5.709 Å, 65.91 65.91 90.00°
Fractional positions:
1 Mn 0.500 0.500 0.000
2 Mn 0.000 0.000 0.000
3 Cd 0.250 0.750 0.500
4 Cd 0.750 0.250 0.500
5 O 0.500 0.000 0.000
6 O 0.000 0.500 0.000
7 O 0.250 0.250 0.500
8 O 0.750 0.750 0.500

Properties
Energy relative to the elements: -1.6247 eV/atom

***

# 3
Material: Li4Mn3OF11
Method: DFT, PBE with a Hubbard U
State: optimized geometry

Cell: 5.925 6.014 6.077 Å, 98.30 97.22 97.68°
Fractional positions:
1 Li 0.000 0.000 0.000
2 Li 0.108 0.319 0.475
3 Li 0.237 0.582 0.082
4 Li 0.840 0.727 0.355
5 Mn 0.375 0.943 0.671
6 Mn 0.533 0.200 0.166
7 Mn 0.646 0.489 0.776
8 O 0.603 0.198 0.871
9 F 0.101 0.066 0.688
10 F 0.168 0.283 0.157
11 F 0.204 0.738 0.420
12 F 0.326 0.498 0.754
13 F 0.331 0.900 0.012
14 F 0.451 0.177 0.455
15 F 0.566 0.532 0.185
16 F 0.644 0.789 0.665
17 F 0.782 0.009 0.228
18 F 0.845 0.447 0.530
19 F 0.926 0.638 0.980

Properties
Energy relative to the lowest polymorph listed for this composition: 28.6 meV per atom
SG: No. 1
Energy relative to the elements: -2.8269 eV/atom

***

# 4
Material: RbMgCr3O8
Method: DFT, PBE with a Hubbard U
State: optimized geometry

Cell: 5.473 5.473 8.816 Å, 99.74 99.74 60.81°
Fractional positions:
1 Rb 0.000 0.000 0.000
2 Mg 0.231 0.231 0.730
3 Cr 0.093 0.093 0.446
4 Cr 0.486 0.486 0.642
5 Cr 0.711 0.711 0.259
6 O 0.305 0.305 0.526
7 O 0.318 0.856 0.625
8 O 0.368 0.862 0.288
9 O 0.431 0.431 0.828
10 O 0.727 0.727 0.077
11 O 0.856 0.318 0.625
12 O 0.862 0.368 0.288
13 O 0.875 0.875 0.371

Properties
Energy relative to the lowest polymorph listed for this composition: 0.0 meV per atom
SG: No. 8
Energy relative to the elements: -2.0015 eV/atom

***

# 5
Material: LiMo3P3O16
Method: DFT, PBE with a Hubbard U
State: optimized geometry

Cell: 6.466 7.931 12.710 Å, 79.64 77.88 81.02°
Fractional positions:
1 Li 0.081 0.350 0.319
2 Li 0.919 0.650 0.681
3 Mo 0.102 0.250 0.834
4 Mo 0.293 0.788 0.473
5 Mo 0.462 0.799 0.848
6 Mo 0.538 0.201 0.152
7 Mo 0.707 0.212 0.527
8 Mo 0.898 0.750 0.166
9 P 0.060 0.156 0.110
10 P 0.193 0.160 0.567
11 P 0.446 0.509 0.687
12 P 0.554 0.491 0.313
13 P 0.807 0.840 0.433
14 P 0.940 0.844 0.890
15 O 0.029 0.249 0.494
16 O 0.066 0.960 0.117
17 O 0.091 0.577 0.174
18 O 0.125 0.214 0.680
19 O 0.128 0.242 0.993
20 O 0.164 0.761 0.838
21 O 0.208 0.961 0.583
22 O 0.216 0.196 0.180
23 O 0.265 0.602 0.628
24 O 0.293 0.947 0.363
25 O 0.357 0.383 0.789
26 O 0.368 0.581 0.388
27 O 0.378 0.022 0.842
28 O 0.404 0.226 0.507
29 O 0.439 0.714 0.982
30 O 0.449 0.356 0.269
31 O 0.551 0.644 0.731
32 O 0.561 0.286 0.018
33 O 0.596 0.774 0.493
34 O 0.622 0.978 0.158
35 O 0.632 0.419 0.612
36 O 0.643 0.617 0.211
37 O 0.707 0.053 0.637
38 O 0.735 0.398 0.372
39 O 0.784 0.804 0.820
40 O 0.792 0.039 0.417
41 O 0.836 0.239 0.162
42 O 0.872 0.758 0.007
43 O 0.875 0.786 0.320
44 O 0.909 0.423 0.826
45 O 0.934 0.040 0.883
46 O 0.971 0.751 0.506

Properties
SG: No. 2
Energy relative to the elements: -2.3505 eV/atom

***

# 6
Material: MgFe6O9F3
Method: DFT, PBE with a Hubbard U
State: optimized geometry

Cell: 5.709 5.892 7.360 Å, 68.93 72.61 78.72°
Fractional positions:
1 Mg 0.000 0.000 0.000
2 Fe 0.010 0.515 0.499
3 Fe 0.064 0.474 0.992
4 Fe 0.285 0.891 0.652
5 Fe 0.358 0.856 0.188
6 Fe 0.634 0.201 0.799
7 Fe 0.712 0.161 0.333
8 O 0.006 0.162 0.695
9 O 0.099 0.625 0.696
*/
Completed:
10 O 0.727 0.727 0.077
11 O 0.856 0.318 0.625
12 O 0.862 0.368 0.288
13 O 0.875 0.875 0.371

Properties
Energy relative to the lowest polymorph listed for this composition: 0.0 meV per atom
SG: No. 8
Energy relative to the elements: -2.0015 eV/atom

***

# 5
Material: LiMo3P3O16
Method: DFT, PBE with a Hubbard U
State: optimized geometry

Cell: 6.466 7.931 12.710 Å, 79.64 77.88 81.02°
Fractional positions:
1 Li 0.081 0.350 0.319
2 Li 0.919 0.650 0.681
3 Mo 0.102 0.250 0.834
4 Mo 0.293 0.788 0.473
5 Mo 0.462 0.799 0.848
6 Mo 0.538 0.201 0.152
7 Mo 0.707 0.212 0.527
8 Mo 0.898 0.750 0.166
9 P 0.060 0.156 0.110
10 P 0.193 0.160 0.567
11 P 0.446 0.509 0.687
12 P 0.554 0.491 0.313
13 P 0.807 0.840 0.433
14 P 0.940 0.844 0.890
15 O 0.029 0.249 0.494
16 O 0.066 0.960 0.117
17 O 0.091 0.577 0.174
18 O 0.125 0.214 0.680
19 O 0.128 0.242 0.993
20 O 0.164 0.761 0.838
21 O 0.208 0.961 0.583
22 O 0.216 0.196 0.180
23 O 0.265 0.602 0.628
24 O 0.293 0.947 0.363
25 O 0.357 0.383 0.789
26 O 0.368 0.581 0.388
27 O 0.378 0.022 0.842
28 O 0.404 0.226 0.507
29 O 0.439 0.714 0.982
30 O 0.449 0.356 0.269
31 O 0.551 0.644 0.731
32 O 0.561 0.286 0.018
33 O 0.596 0.774 0.493
34 O 0.622 0.978 0.158
35 O 0.632 0.419 0.612
36 O 0.643 0.617 0.211
37 O 0.707 0.053 0.637
38 O 0.735 0.398 0.372
39 O 0.784 0.804 0.820
40 O 0.792 0.039 0.417
41 O 0.836 0.239 0.162
42 O 0.872 0.758 0.007
43 O 0.875 0.786 0.320
44 O 0.909 0.423 0.826
45 O 0.934 0.040 0.883
46 O 0.971 0.751 0.506

Properties
SG: No. 2
Energy relative to the elements: -2.3505 eV/atom

***

# 6
Material: MgFe6O9F3
Method: DFT, PBE with a Hubbard U
State: optimized geometry

Cell: 5.709 5.892 7.360 Å, 68.93 72.61 78.72°
Fractional positions:
1 Mg 0.000 0.000 0.000
2 Fe 0.010 0.515 0.499
3 Fe 0.064 0.474 0.992
4 Fe 0.285 0.891 0.652
5 Fe 0.358 0.856 0.188
6 Fe 0.634 0.201 0.799
7 Fe 0.712 0.161 0.333
8 O 0.006 0.162 0.695
9 O 0.099 0.625 0.696